Special Needs Office

The Special Needs Office (BBP) is attached to the Student Health Service (SSE).

It is dedicated to supporting students with special needs in their university studies, particularly in their assessments: exams and continuous assessments.

It works closely with Faculties, Interfaculty Centers, and the Committee for the Evaluation of Accommodations for Special Needs (CEBP).

# Calculated crystals, kept here for reference
<<<
Entry 1:
{"formula": "Ni4W", "functional": "GGA-PBE", "state": "relaxed", "cell": [[5.7370, 0.0000, 0.0000], [0.0000, 5.7370, 0.0000], [0.0000, 0.0000, 3.5525]], "species": ["Ni", "Ni", "Ni", "Ni", "Ni", "Ni", "Ni", "Ni", "W", "W"], "frac_coords": [[0.0996, 0.3008, 0.0000], [0.1992, 0.5996, 0.5000], [0.3008, 0.9004, 0.0000], [0.4004, 0.1992, 0.5000], [0.5996, 0.8008, 0.5000], [0.6992, 0.0996, 0.0000], [0.8008, 0.4004, 0.5000], [0.9004, 0.6992, 0.0000], [0.0000, 0.0000, 0.5000], [0.5000, 0.5000, 0.0000]], "e_tot_ev_per_atom": -7.32, "e_form_ev_per_atom": -0.108, "space_group": "No. 87"}


Entry 2:
{"formula": "MgAsH7O4", "functional": "GGA-PBE", "state": "relaxed", "cell": [[3.2648, -11.2918, 0.0000], [3.2648, 11.2918, 0.0000], [-0.7869, 0.0000, 10.7614]], "species": ["Mg", "Mg", "Mg", "Mg", "As", "As", "As", "As", "H", "H", "H", "H", "H", "H", "H", "H", "H", "H", "H", "H", "H", "H", "H", "H", "H", "H", "H", "H", "H", "H", "H", "H", "H", "H", "H", "H", "O", "O", "O", "O", "O", "O", "O", "O", "O", "O", "O", "O", "O", "O", "O", "O"], "frac_coords": [[0.1385, 0.8615, 0.7500], [0.2670, 0.7330, 0.7500], [0.7330, 0.2670, 0.2500], [0.8615, 0.1385, 0.2500], [0.3525, 0.5603, 0.1444], [0.4397, 0.6475, 0.3556], [0.5603, 0.3525, 0.6444], [0.6475, 0.4397, 0.8556], [0.0266, 0.2248, 0.0035], [0.0300, 0.4295, 0.4205], [0.0452, 0.5984, 0.1533], [0.0605, 0.3662, 0.8657], [0.0788, 0.2124, 0.8702], [0.2124, 0.0788, 0.3702], [0.2248, 0.0266, 0.5035], [0.3662, 0.0605, 0.3657], [0.4016, 0.9548, 0.3467], [0.4295, 0.0300, 0.9205], [0.4364, 0.5365, 0.6243], [0.4635, 0.5636, 0.8757], [0.4806, 0.5144, 0.6325], [0.4856, 0.5194, 0.8675], [0.5144, 0.4806, 0.1325], [0.5194, 0.4856, 0.3675], [0.5365, 0.4364, 0.1243], [0.5636, 0.4635, 0.3757], [0.5705, 0.9700, 0.0795], [0.5984, 0.0452, 0.6533], [0.6338, 0.9395, 0.6343], [0.7752, 0.9734, 0.4965], [0.7876, 0.9212, 0.6298], [0.9212, 0.7876, 0.1298], [0.9395, 0.6338, 0.1343], [0.9548, 0.4016, 0.8467], [0.9700, 0.5705, 0.5795], [0.9734, 0.7752, 0.9965], [0.0038, 0.7972, 0.0933], [0.0612, 0.6532, 0.6551], [0.0827, 0.2792, 0.1401], [0.0895, 0.4760, 0.8385], [0.2028, 0.9962, 0.4067], [0.2792, 0.0827, 0.6401], [0.3468, 0.9388, 0.8449], [0.4760, 0.0895, 0.3385], [0.5240, 0.9105, 0.6615], [0.6532, 0.0612, 0.1551], [0.7208, 0.9173, 0.3599], [0.7972, 0.0038, 0.5933], [0.9105, 0.5240, 0.1615], [0.9173, 0.7208, 0.8599], [0.9388, 0.3468, 0.3449], [0.9962, 0.2028, 0.9067]], "energy_corrected_mp2020_ev_per_atom": -4.999, "m_tot_mub_per_cell": 0.0, "e_tot_ev_per_atom": -4.79, "e_form_ev_per_atom": -1.168, "space_group": "No. 15"}


Entry 3:
>>>
# End of the calculated crystals

The members of this service are bound by the principle of confidentiality, so no information can be exchanged with the parents or relatives of adult students. Likewise, no medical or identity-related information is shared with the Faculties.

== What comes next are crystal structures, not part of the article ==
........
DFT (PBE-GGA) results for a relaxed Ce4Zn3Sb8 crystal.

The calculation puts the corrected total energy (MP2020 scheme) at -71.45 eV per formula unit. The theoretical density is 7.2 Mg/m³. The calculation puts the energy of formation at -0.73 eV per atom.

Lattice parameters (Å, degrees): 4.462 4.462 19.965 90.00 90.00 90.00
Space group P-4m2 (No. 115)
Asymmetric unit:
Ce 0.000 0.500 0.125 x2
Ce 0.000 0.500 0.629 x2
Zn 0.000 0.000 0.000 x1
Zn 0.000 0.000 0.500 x1
Zn 0.500 0.500 0.500 x1
Sb 0.000 0.000 0.248 x2
Sb 0.000 0.500 0.411 x2
Sb 0.000 0.500 0.920 x2
Sb 0.500 0.500 0.249 x2



DFT (PBE-GGA) results for a relaxed Ce2ZnSb4 crystal.

The calculation puts the corrected total energy (MP2020 scheme) at -35.32 eV per formula unit. The theoretical density is 7.3 Mg/m³. The calculation puts the energy of formation at -0.81 eV per atom.

Lattice parameters (Å, degrees): 4.434 4.434 9.685 90.00 90.00 90.00
Space group P-4m2 (No. 115)
Asymmetric unit:
Ce 0.000 0.500 0.247 x2
Zn 0.000 0.000 0.000 x1
Sb 0.000 0.000 0.500 x1
Sb 0.000 0.500 0.838 x2
Sb 0.500 0.500 0.500 x1



DFT (PBE-GGA) results for a relaxed Ce2Sc3Si4 crystal.

The calculation puts the corrected total energy (MP2020 scheme) at -59.23 eV per formula unit. The theoretical density is 4.6 Mg/m³. The calculation puts the energy of formation at -0.74 eV per atom.

Lattice parameters (Å, degrees): 7.180 14.136 7.451 90.00 90.00 90.00
Space group Pnma (No. 62)
Asymmetric unit:
Ce 0.011 0.097 0.172 x8
Sc 0.162 0.750 0.505 x4
Sc 0.171 0.124 0.676 x8
Si 0.034 0.750 0.120 x4
Si 0.155 0.539 0.465 x8
Si 0.213 0.250 0.377 x4



DFT (PBE-GGA) results for a relaxed CeScSi crystal.

The calculation puts the corrected total energy (MP2020 scheme) at -19.24 eV per formula unit. The theoretical density is 5.0 Mg/m³. The calculation puts the energy of formation at -0.52 eV per atom.

Lattice parameters (Å, degrees): 4.240 4.240 15.879 90.00 90.00 90.00
Space group I4/mmm (No. 139)
Asymmetric unit:
Ce 0.000 0.000 0.179 x4
Sc 0.000 0.500 0.000 x4
Si 0.000 0.000 0.377 x4



DFT (PBE-GGA) results for a relaxed Ce10Se19 crystal.

The calculation puts the corrected total energy (MP2020 scheme) at -182.08 eV per formula unit. The theoretical density is 6.6 Mg/m³. The calculation puts the energy of formation at -1.94 eV per atom.

Lattice parameters (Å, degrees): 9.394 9.394 16.668 90.00 90.00 90.00
Space group P4_2/n (No. 86, origin choice 2)
Asymmetric unit:
Ce 0.043 0.349 0.120 x8
Ce 0.052 0.353 0.608 x8
Ce 0.250 0.750 0.119 x4
Se 0.026 0.829 0.250 x8
Se 0.049 0.348 0.427 x8
Se 0.054 0.350 0.935 x8
Se 0.059 0.869 0.750 x8
Se 0.250 0.250 0.250 x2
Se 0.250 0.750 0.434 x4



DFT (PBE-GGA) results for a relaxed Ce2SnSe4 crystal.

The calculation puts the corrected total energy (MP2020 scheme) at -41.19 eV per formula unit. The theoretical density is 5.9 Mg/m³. The calculation puts the energy of formation at -1.62 eV per atom.

Lattice parameters (Å, degrees): 12.274 4.300 15.317 90.00 90.00 90.00
........

A Special Need - What is it?

At the University, we refer to a "student with special needs" as a student with a diagnosed disorder
and/or a disability, who encounters obstacles in completing their studies.

To establish this concept, we have based it on the definitions formulated by the World Health Organization (WHO) and the United Nations (UN, 2006):

Calculated crystals, as found in the file =
=====
1.
Here is a relaxed Fe4O5F3 crystal from the Materials Project. Energies are from PBE+U.

- Maximum piezoelectric response: 1.06 C/m²
- Energy above the most stable polymorph in this dataset: 0.024 eV/atom
- Theoretical density: 4.4 g/cm³
- Calculated formation energy: -2139 kJ/mol of formula units
- M_tot: 1.583 μB per atom

Unit cell a=4.757 b=4.757 c=6.048 alpha=90.00 beta=90.00 gamma=95.23
Fractional positions:
Fe 0.529 0.471 0.500
F 0.805 0.195 0.000
F 0.187 0.813 0.000
Fe 0.990 0.010 0.257
O 0.812 0.188 0.500
O 0.306 0.306 0.238
F 0.194 0.806 0.500
O 0.694 0.694 0.238
Fe 0.990 0.010 0.743
O 0.306 0.306 0.762
O 0.694 0.694 0.762
Fe 0.494 0.506 0.000

---

2.
Here is a relaxed NaCoBO3 crystal from the Materials Project. Energies are from PBE+U.

- Theoretical density: 3.7 g/cm³
- Calculated formation energy: -1226 kJ/mol of formula units
- M_tot: 0.000 μB per atom

Unit cell a=5.039 b=7.340 c=7.340 alpha=74.40 beta=102.91 gamma=102.91
Fractional positions:
B 0.375 0.043 0.707
O 0.373 0.561 0.740
O 0.625 0.801 0.449
B 0.875 0.543 0.207
O 0.127 0.939 0.760
O 0.875 0.699 0.051
Na 0.875 0.211 0.539
O 0.125 0.301 0.949
Co 0.250 0.250 0.250
Na 0.375 0.711 0.039
O 0.873 0.061 0.240
O 0.623 0.990 0.811
O 0.377 0.009 0.189
Co 0.000 0.000 0.000
B 0.625 0.957 0.293
Na 0.625 0.289 0.961
O 0.627 0.439 0.260
Co 0.500 0.500 0.500
O 0.123 0.490 0.311
Co 0.750 0.750 0.750
O 0.877 0.509 0.689
O 0.375 0.199 0.551
Na 0.125 0.789 0.461
B 0.125 0.457 0.793

---

3.
Here is a relaxed FeNi2O4 crystal from the Materials Project. Energies are from PBE+U.

- Energy above the most stable polymorph in this dataset: 0.014 eV/atom
- Theoretical density: 5.4 g/cm³
- Calculated formation energy: -874 kJ/mol of formula units
- M_tot: 0.397 μB per atom

Unit cell a=5.885 b=5.932 c=5.932 alpha=120.52 beta=90.00 gamma=119.74
Fractional positions:
O 0.760 0.020 0.269
Ni 0.500 0.000 0.500
O 0.240 0.509 0.260
Ni 0.000 0.000 0.500
O 0.759 0.017 0.741
O 0.240 0.980 0.731
O 0.760 0.491 0.740
Fe 0.371 0.242 0.129
Fe 0.629 0.758 0.871
O 0.231 0.491 0.740
O 0.769 0.509 0.260
Ni 0.000 0.500 0.500
O 0.241 0.983 0.259
Ni 0.000 0.500 0.000

---

4.
Here is a relaxed Li4Mn3CuO8 crystal from the Materials Project. Energies are from PBE+U.

- Theoretical density: 4.3 g/cm³
- Calculated formation energy: -2976 kJ/mol of formula units
- M_tot: 0.770 μB per atom

Unit cell a=10.277 b=10.277 c=14.529 alpha=19.52 beta=19.52 gamma=33.65
Fractional positions:
Mn 0.500 0.500 0.000
O 0.000 0.000 0.248
O 0.000 0.000 0.752
O 0.475 0.475 0.772
O 0.525 0.525 0.228
Mn 0.500 0.000 0.000
Mn 0.000 0.500 0.000
O 0.475 0.000 0.277
Li 0.500 0.500 0.500
O 0.000 0.475 0.277
O 0.525 0.000 0.723
Li 0.000 0.500 0.500
Li 0.000 0.000 0.500
O 0.000 0.525 0.723
Li 0.500 0.000 0.500
Cu 0.000 0.000 0.000

---

5.
Here is a relaxed Ba2CoB6O12 crystal from the Materials Project. Energies are from PBE+U.

- Theoretical density: 3.9 g/cm³
- Calculated formation energy: -5808 kJ/mol of formula units
- M_tot: 0.000 μB per atom
=====

  • "Disability results from the interaction between individuals with a health condition, such as cerebral palsy, Down syndrome, and depression, and personal and environmental factors, including negative attitudes, inaccessible transportation and public buildings, and limited social support."
    More information on the website of: the WHO
  • “Disability results from the interaction between people with impairments and behavioral and environmental barriers that hinder their full and effective participation in society on an equal basis with others.”
    More information on the: Convention on the Rights of Persons with Disabilities

Therefore, to request accommodations through the Special Needs Office, you must meet both of the following conditions:

  1. Have a disability and/or a disorder,
  2. Be in an environment that is not adapted to your specific needs.

These two factors create a significant disadvantage, preventing success on an equal footing with others. Indeed, exam accommodations must meet the criteria for compensating disadvantages, which involve neutralizing or reducing the limitations caused by a disability and/or diagnosed disorder.


We use the terms "disability" and "diagnosed disorder" in a medical/functional sense to ensure that we provide appropriate services to those who truly need them. The use of these terms is not intended to stigmatize or marginalize the individuals concerned, but rather to acknowledge the challenges they face and to implement specific measures to support and assist them in their university studies.


Temporary health problems and temporary disabilities resulting from an accident are not managed by the Special Needs Office. In such cases, you should contact your Faculty.

Special Needs Office - How to contact?

The Special Needs Office can be reached for any questions by email :

Special Needs Office - Some statistics

The Special Needs Office is increasingly handling requests from the student community.

The first graph is a bar chart illustrating the increase in accommodation requests over the years. For the 2018-2019 academic year, 144 requests were recorded; for 2019-2020, 114 requests; for 2020-2021, 205 requests; for 2021-2022, 219 requests; and for 2022-2023, 371 requests. The second graph is a pie chart highlighting the predominance of cognitive and neurodevelopmental disorders in the requests for the 2022-2023 academic year: 48% of the requests concern attention deficit disorder (with/without hyperactivity), 7.5% concern autism spectrum disorder, and 29% concern learning disorders.